VIPa summary 25-27
纽约三天vipa是在5月底,3天,为纽约客设计,做不了10天vipa,长周末去纽约州山里面。纽约州一个summer camp挺棒的,夏令营地,我小时候也没参加过,正好体验!The center is located only 1.5 hours train or car ride away from NYC at the Sharpe Reservation in Fishkill, NY. The address is 436 Van Wyck Lake Road, Fishkill, NY, 12524.
也许是某人介绍自己来自哪里,总之印度城市,州名字都在纽约州好有意思:Delhi town delaware county of New York
一眼看中一个美女,果然东欧人就是亮丽,Serbian modeling模特,曾经广州走台过,说是犹如工厂流水线,不把她们当人看 GZ,like factory running
Three kids 谁啊?
让我们想起波兰导演比诺什表演,经典片子再看一遍!Three colors blue polish director 深为震撼的是音乐,评论写得非常好:https://www.douban.com/note/317486243/?type=like,看蓝就是任意音乐响起会流泪,泪点越来越低,真好!很喜欢封闭的茱莉,这不就是一个回归零点的状态吗!我很多年前看过“蓝”印象最深的就是一个人游泳,而且总是横跨泳池,显得人少是多么大的孤独好处,一个人到一个不认识任何人的地方,我经常有类似的生活经历,真的非常孤独的享受,很喜欢blue的茱莉而不是重回人间的她!
纽约客喜欢华语区竞选的Andrew,号召统一收入Universal income of Andrew yang还有犹太人Berny? Jewish,Elizabeth Berden? California soul healer都是一群奇怪的候选人。
乌拉圭何塞·穆希卡(José Mujica)是纽约客喜欢的,我欣赏他就一个甲壳虫一样汽车,最穷总统,深得人心,就是作为一个曾经自行车手,胖成那样有些不潇洒!
Serbs and bumping Chinese ambassadors 已经不理解了!
Everyone in power long got to be down 同行的犹太律师观点,不喜欢长期掌权的家族,认为必定腐败。
SS: too much and had to stop meditation. 华人律师,兼任我们司机,对vipa解释,回到纽约太多事,就停止啦,嫁了德国老公!
东欧美女和男朋友分手,女朋友闲话说是她的控制欲太强,非常气愤,开始冥想!Andrea: make closure to BF and girl fiend gossip on too controlling,angry so meditation
我和义工管理者Lisa有很多时候她认为我是对立面,先从发现我做瑜伽开始就非常气愤,说老师等着和我谈话,问我是不是身体有问题?我没问题,就是要瑜伽!之后发现我使用义工的洗手间就在门外等着我,告诉我做得不对,我 call!结果三天结束,特意来恭喜我成功完成vipa,说她和我一样,一开始就破坏所有规定!我心想你没搞错吧,我没破坏啥规定!但也乐于和她聊聊,一看就是很神叨叨的那种!Lisa girl: upset breaking all the rules,Tks for waiting,6 Persons on bells,medical issue? Teacher waiting for me! Morning 6.15am upset on my yoga,using toilet,waiting to tell me! Eventually came to congratulate me on so proud of what I did! What? I said sorry! She: I just like u breaking all the rule! What u mean? I did not break all! Welcome to shanghai she is into it!
老师一个中年女子,说我可以用跳舞大厅练习瑜伽,观察自己不是瑜伽问题,是内在hyper和restless和你作对,还有就是一个中午等她1小时40分,好在坐在树林里也惬意,结果老师说她自己贪吃让她气恼,自己意识到!我说我也是,靠瑜伽对抗!很有意思,发现老师是个卡车司机,估计义工做vipa老师,看她身材也是贪吃类型的。Teacher: first time mid path using dance hall. 2nd: observe it is not yoga restless hyper it is something else but yoga in break time 3rd waiting for 1.40 mts: having carving for food,agitation but aware it is there and will go! My carving for food and using yoga to against
每个人看起来都很平静和祥和!只是在vipa阶段吗?Everyone peace and harmony
我知道世界充满苦难,如此多的人不快乐!It is a miserable world and so many unhappy people
原谅所有人,被原谅!和一个蒙古女孩聊了很久她的不被接纳问题,因为在俄罗斯很多年,现在她的面容很模糊,只记得一个阴凉的夜晚在室外,甚至有了蚊子我们才去睡觉,听她的问题!Pardon all,being pardoned,long talk in evening then chat on corridor outside : with Rosa on her minority in Russia,Mongolia?
平常心是重点,不起反应!Equanimity is key!
这句话我现在已经不理解,啥情况啊?Unconscious mind with sensation,conscious is just surface
这里和亚洲不同的是,吃饭不是固定座外,大家一起坐,可以随时和咖啡,但没有热水!Eating no fixed seat,cafe all time no hot water all time
我早晨4点就去瑜伽This morning 4am doing yoga first phase 4.18
### What comes next are calculated crystals, not part of the page
-- begin --
Entry 1:
# Ho6Ti4Al43 | Materials Project | GGA-PBE | optimized geometry
data_Ho6Ti4Al43
_cell_length_a 11.081
_cell_length_b 11.081
_cell_length_c 17.752
_cell_angle_alpha 90.00
_cell_angle_beta 90.00
_cell_angle_gamma 120.00
_space_group_name_H-M_alt 'P 1'
_space_group_IT_number 1
loop_
_space_group_symop_operation_xyz
'x,y,z'
loop_
_atom_site_label
_atom_site_fract_x
_atom_site_fract_y
_atom_site_fract_z
Ho1 0.000 0.469 0.096
Ho2 0.000 0.469 0.404
Ho3 0.000 0.531 0.596
Ho4 0.000 0.531 0.904
Ho5 0.469 0.000 0.096
Ho6 0.469 0.000 0.404
Ho7 0.469 0.469 0.596
Ho8 0.469 0.469 0.904
Ho9 0.531 0.000 0.596
Ho10 0.531 0.000 0.904
Ho11 0.531 0.531 0.096
Ho12 0.531 0.531 0.404
Ti1 0.000 0.000 0.000
Ti2 0.000 0.000 0.500
Ti3 0.000 0.271 0.250
Ti4 0.000 0.729 0.750
Ti5 0.271 0.000 0.250
Ti6 0.271 0.271 0.750
Ti7 0.729 0.000 0.750
Ti8 0.729 0.729 0.250
Al1 0.000 0.147 0.750
Al2 0.000 0.158 0.116
Al3 0.000 0.158 0.384
Al4 0.000 0.254 0.529
Al5 0.000 0.254 0.971
Al6 0.000 0.746 0.029
Al7 0.000 0.746 0.471
Al8 0.000 0.842 0.616
Al9 0.000 0.842 0.884
Al10 0.000 0.853 0.250
Al11 0.147 0.000 0.750
Al12 0.147 0.147 0.250
Al13 0.149 0.552 0.250
Al14 0.149 0.597 0.750
Al15 0.158 0.000 0.116
Al16 0.158 0.000 0.384
Al17 0.158 0.158 0.616
Al18 0.158 0.158 0.884
Al19 0.158 0.394 0.664
Al20 0.158 0.394 0.836
Al21 0.158 0.765 0.164
Al22 0.158 0.765 0.336
Al23 0.235 0.394 0.164
Al24 0.235 0.394 0.336
Al25 0.235 0.842 0.664
Al26 0.235 0.842 0.836
Al27 0.247 0.495 0.000
Al28 0.247 0.495 0.500
Al29 0.247 0.753 0.000
Al30 0.247 0.753 0.500
Al31 0.254 0.000 0.529
Al32 0.254 0.000 0.971
Al33 0.254 0.254 0.029
Al34 0.254 0.254 0.471
Al35 0.333 0.667 0.126
Al36 0.333 0.667 0.374
Al37 0.333 0.667 0.626
Al38 0.333 0.667 0.874
Al39 0.394 0.158 0.664
Al40 0.394 0.158 0.836
Al41 0.394 0.235 0.164
Al42 0.394 0.235 0.336
Al43 0.403 0.552 0.750
Al44 0.403 0.851 0.250
Al45 0.448 0.597 0.250
Al46 0.448 0.851 0.750
Al47 0.495 0.247 0.000
Al48 0.495 0.247 0.500
Al49 0.505 0.753 0.000
Al50 0.505 0.753 0.500
Al51 0.552 0.149 0.250
Al52 0.552 0.403 0.750
Al53 0.597 0.149 0.750
Al54 0.597 0.448 0.250
Al55 0.606 0.765 0.664
Al56 0.606 0.765 0.836
Al57 0.606 0.842 0.164
Al58 0.606 0.842 0.336
Al59 0.667 0.333 0.126
Al60 0.667 0.333 0.374
Al61 0.667 0.333 0.626
Al62 0.667 0.333 0.874
Al63 0.746 0.000 0.029
Al64 0.746 0.000 0.471
Al65 0.746 0.746 0.529
Al66 0.746 0.746 0.971
Al67 0.753 0.247 0.000
Al68 0.753 0.247 0.500
Al69 0.753 0.505 0.000
Al70 0.753 0.505 0.500
Al71 0.765 0.158 0.164
Al72 0.765 0.158 0.336
Al73 0.765 0.606 0.664
Al74 0.765 0.606 0.836
Al75 0.842 0.000 0.616
Al76 0.842 0.000 0.884
Al77 0.842 0.235 0.664
Al78 0.842 0.235 0.836
Al79 0.842 0.606 0.164
Al80 0.842 0.606 0.336
Al81 0.842 0.842 0.116
Al82 0.842 0.842 0.384
Al83 0.851 0.403 0.250
Al84 0.851 0.448 0.750
Al85 0.853 0.000 0.250
Al86 0.853 0.853 0.750
# DFT total energy ... -476.1 eV per cell
# Formation energy from the elements ... -0.338 eV/atom
# Symmetry ... P6_3/mcm, No. 193

Entry 2:
-- stop --
回来的路上还是华人律师开车,结果两个GPS导航指路,我们聊个不停,超级投缘!Driving with two GPS and a lot of talks
很多东欧的女人们在,有意思,是因为在美国比较纠结吗?Eastern European: mandova,Ukraine,Serbian,西伯利亚,Russian
我知道纽约vipa center有一个主导人物Jeremy,看起来很年轻,据说所有活动都在支持,一开始用家里house(还是有大house才可以) all the time there with grandfather cabin
3天结束的时候美国号召Donation很厉害,各种方法和收钱工具,提供大家vipa center P&L报告,一切公开,所有亏空,是非盈利机构,我们捐款可以抵税,我也无所谓,提到布鲁克林开始一天vipa课程,纽约客参加2-3天的,我认为中国也需要这样灵活方法! in many ways,2200 shortage on P&L,501C3,Brooklyn one day and 2-3 days for New Yorker,China can adapt
一桌问下来有日本人,伊朗人,缅甸,加州台湾人Japanese,iranese,Burmese,California TW Chinese,servers for coming 100 10 days,light dinner then discourse only
了解到曼哈顿中心开放晚上6-8点决定去!Meditating center 6-8pm
这里吃得还健康,早餐可以热的燕麦酸奶,午餐吃到豆腐甜菜红,我坐在外面晒着太阳吃,很享受。Breakfast once with hot oatmeal and yoghurt,lunch squash red beet and toufu second day,one extra bowls,sitting outside,with rice milk
vipa大厅被帘子隔开一个空间,能量不是很强,老学员都比较安静,但有人进出,男女比例一半一半,很多年轻的人!Energy is not that high but old students quieter but in and out often,half male and female and a lot of young people
很多人提到massachusettes vipa center环境很好,其次是daleware和georgia,但需要share room,我没啥兴趣,美国人喜欢告状,估计瑜伽还是会被警告Everyone talking high on 麻省理工 faculty,also Daleware and Georgia all shared room,
人都很有意思,作家,音乐家,研究学者,律师,老师,基本都是文化人!Book writer,musician,researcher,lawyer,teachers
有一天下午突然暴风雨,感觉我们所在地就是Storm:诺亚方舟,很开心不是一个人经历,很多人一起,听到刷刷作响的树木声音,不错啊!happy not alone with the sounds of trees and wind blowing,we all together,around
喜欢都是英文讲课,效率很高,组织者也很高效。Firs time English so clear and more efficient organized
我自己多年前的睡袋派上用场,还挺舒服的,每天瑜伽在一个巨大的犹如车库的厂房里,有其他人瑜伽垫子,就拿来用!Sleeping well on bag using others creams no shampoo for hair,yoga mat from others,like a garage
这次琢磨明白为啥我每天一大早傻坐在那里,就是去除贪嗔痴,对他人有爱和同理心!Learned something new is why we do this: get rid of aversion craving and ego: compassion and love for others
无意识和身体感受很深的链接在一起!Deep connection of unconsciousness and sensation
记起来一个关于为啥酒精需要戒除:一个和尚被一个寡妇看中了,给他吃的,性,杀鸡做饭给他,都可以拒绝;结果给了他一杯酒,喝了,接着喝了第二杯第三杯,最后啥都干了!酒精可以让人头脑意志薄弱,其他事都犯了!Strong memory now: one monk with a widow who is asking him to sex,steal,kill,none he did,but she offered him a drink,then two and more,he did it all
东欧美女Andrea神奇之处,在家生的孩子,因为想要最真实的感受,花了800美金,而不是医院接生2000美金,和保险公司打赢了!我意识到美国很多事有余地,和保险公司可以讨价还价!: home delivery,experience of her own,800 instead of 2000,fighting with the insurance,quite flexible here with certain things.
VIPa 2
第二天早晨醒来感觉睡够了,但没有铃声,就又睡直到无法睡了,看到黑皮肤邻床还在睡,检查手表发现已经5.20吓了一跳,没人敲门提醒我们啊。Woke up and feeling enough sleep but no bell no movement,slept again,2nd time can not sleep,Ms. Dark still sleeping,I checked clock though it was broken,it is 5.20am,my god,nobody knock our door or something like that.
赶去洗浴间,发现几个女孩很从容的洗漱,以为今天开始晚一些?Rushing to central bathroom,some girls are there,seem very relaxed,nobody is pushing,I thought might we start late today
到了大厅5.40确实很多人都在那里,证明我们迟到了,但这里竟然如此放松。还是照常6.30休息,有咖啡提供,和亚洲区别很大!Going to the hall at 5.40am,quite a lot of them there,thought we finish at 6am,wrong,6.30am,got coffee though,another difference,no hot water
早餐可以选择非常健康的燕麦粥,加上美国大颗粒枣!适合我的健康早餐!6.30am breakfast: yoghurt with oatmeal is good with some big dates,my kind of thing now.
回到房间,在没人住的地上坐上半部分ashtanga,很冷,很难前屈。Back to cabin,in the hard floor,did first half,not too cold,but difficult to bend MD,too big belly.
黑皮肤邻居回来,看到我瑜伽,shower很热,虽然公众share,但还干净,比camp site好!Ms. D back to sleep,I went to shower,hot shower,quite clean,nice facility here better than a camp site.
之后9-11点两个小时vipa很漫长,我大脑都是工作,和几个人的结在那里,但是也知道一切都会OK,接受发生的和即将发生的!9-11am feeling a bit long,thinking a lot about work,3 ladies that I have body mind issues,but u know,all will be ok,just accept whatever it comes along.
午餐尽量少吃,因为要瑜伽,有bread和zuccini很健康,拿了两个香蕉提醒自己12点后过午不食!Lunch is good with tomato sauce thing,zuccini for me,a baked bread,trying not to eat much before yoga,which is good thing,collected two bananas which I should not eat after 12pm.
坐在小木屋凉台上写东西,拿了一个公用的瑜伽垫,地板不那么硬了,喜欢不同的环境下瑜伽!Sitting in cabin balcony to write after yoga,I got a yoga mat from the hall which makes floor comfortable,love the experience of doing it different environment.
非常安静,一片眼前绿色,这是真实世界吗?现在当下,这是唯一真实的!So quite here,facing the green land,is this real,the only real thing,now.
决定一定要去麻省的vipa,听说附近都是修行的地方,犹如酒店的vipa center要体验!Got to try Massachussetts vipa once,heard areas full of monasteries and room like a hotel,I need it.
即使和别人一起分享木屋,这个经历很好!Even sharing cabin it is quite good.
美国vipa氛围比较放松,年轻人多,带我们开车来的SS才32岁,乔治town大学毕业律师,和另一个律师一起说毕业生在律师事务所受的罪和气,我很喜欢SS,会保持联系!Atmosphere here more relaxed,quite some young people,SS is 32 from George Town university as attorney,amazing. I want to get in touch with her in future.
They talk about how difficult to work in large law firm as fresh graduate.
坐vipa的都不喝酒,但尝试过草本stimuli,我很想尝试!Just different crowds,nobody is drinking,but they do take herbs stimuli,I want to try it once.
12.46pm now,prepare afternoon session.
纽约 第18天 /2019 0524
下着雨去了vibe,炉火,音乐和垃圾车各种噪音,如此纽约的瑜伽,喜欢就是了!Rain to vibe,fire and music and trash truck ,east village早餐开门都很晚去了唯一一个像样的地方吃了燕麦粥,犹如一个胖兔子,看自己瑜伽视频感受更深!Oatmeal and bean so full like a fat rabbit saw video also
和L约好去Whitney,我们都有各种宁肯人负我我不负人的故事分享,也许是真的!Same complains from Lydia I am also doing It right? Talking about Monica Sharon and kathy
艺术家的介绍很多让人感动,设计永远是纽约第一,凉台上看到纽约下城景色如此纽约!Meeting lydia for biennial touched with some of talks of artists and balcony all beautiful
Materials data, kept here for reference
-- begin --
1.
DFT (PBE) results for a relaxed structure of Na14Ca4Si7Sn4S5O48.

Cell lengths 9.3491, 16.1866, 22.6987 Å; angles 89.46, 89.91, 89.97 degrees
Space group P1 (No. 1)
Symmetry-distinct sites (fractional):
Na 0.0000 0.0000 0.0000 x1
Na 0.0001 0.2993 0.6747 x1
Na 0.0043 0.3404 0.3274 x1
Na 0.0144 0.9623 0.3279 x1
Na 0.0364 0.6479 0.3347 x1
Na 0.0398 0.3123 0.0036 x1
Na 0.0628 0.9808 0.6682 x1
Na 0.1753 0.1553 0.0859 x1
Na 0.1791 0.4823 0.4106 x1
Na 0.1838 0.1497 0.5791 x1
Na 0.1876 0.4761 0.9201 x1
Na 0.1911 0.8200 0.7651 x1
Na 0.1926 0.8252 0.2507 x1
Na 0.2941 0.9749 0.1783 x1
Na 0.3284 0.6477 0.8462 x1
Na 0.3290 0.3058 0.4997 x1
Na 0.3518 0.2951 0.1629 x1
Na 0.3561 0.9545 0.8359 x1
Na 0.3588 0.9887 0.4958 x1
Na 0.3763 0.6750 0.1575 x1
Na 0.4862 0.1777 0.6585 x1
Na 0.4950 0.7905 0.6674 x1
Na 0.5059 0.4856 0.0026 x1
Na 0.5096 0.4528 0.3300 x1
Na 0.5321 0.8045 0.0067 x1
Na 0.5340 0.1522 0.3405 x1
Na 0.5682 0.4717 0.6779 x1
Na 0.6719 0.3266 0.7539 x1
Na 0.6767 0.9778 0.4149 x1
Na 0.6830 0.6448 0.0818 x1
Na 0.6851 0.6447 0.5785 x1
Na 0.6864 0.9842 0.9144 x1
Na 0.6938 0.3222 0.2546 x1
Na 0.8196 0.4706 0.1713 x1
Na 0.8292 0.1489 0.8406 x1
Na 0.8288 0.8125 0.4923 x1
Na 0.8520 0.4604 0.8342 x1
Na 0.8630 0.8381 0.8431 x1
Na 0.8653 0.7971 0.1749 x1
Na 0.8666 0.4996 0.4929 x1
Na 0.8853 0.1723 0.1560 x1
Na 0.9898 0.6599 0.6555 x1
Ca 0.1756 0.4768 0.2711 x1
Ca 0.1777 0.1537 0.7372 x1
Ca 0.1831 0.1453 0.2329 x1
Ca 0.1834 0.8146 0.0995 x1
Ca 0.1885 0.8073 0.9071 x1
Ca 0.1881 0.8130 0.5886 x1
Ca 0.6786 0.6397 0.7365 x1
Ca 0.6796 0.3089 0.4048 x1
Ca 0.6801 0.3144 0.5990 x1
Ca 0.6830 0.3143 0.0928 x1
Ca 0.6867 0.6525 0.2360 x1
Ca 0.6869 0.9789 0.7742 x1
Si 0.0177 0.2993 0.8335 x1
Si 0.0289 0.3313 0.1671 x1
Si 0.0339 0.6598 0.5011 x1
Si 0.0345 0.9686 0.5011 x1
Si 0.0396 0.9977 0.8333 x1
Si 0.3297 0.3346 0.6629 x1
Si 0.3323 0.2956 0.3345 x1
Si 0.3368 0.6566 0.0024 x1
Si 0.3397 0.9897 0.3325 x1
Si 0.3799 0.3069 0.0033 x1
Si 0.4870 0.8063 0.5048 x1
Si 0.5242 0.1589 0.5021 x1
Si 0.5238 0.4885 0.8322 x1
Si 0.5351 0.7947 0.8323 x1
Si 0.5346 0.8345 0.1627 x1
Si 0.8277 0.4985 0.3351 x1
Si 0.8294 0.1590 0.9992 x1
Si 0.8328 0.4692 0.9986 x1
Si 0.8462 0.8002 0.3341 x1
Si 0.8926 0.4816 0.6682 x1
Si 0.9721 0.9798 0.1680 x1
Sn 0.1716 0.1553 0.9317 x1
Sn 0.1771 0.4733 0.0595 x1
Sn 0.1775 0.4834 0.5667 x1
Sn 0.1841 0.4652 0.7712 x1
Sn 0.1846 0.8158 0.4060 x1
Sn 0.2011 0.1391 0.4300 x1
Sn 0.6612 0.6388 0.9310 x1
Sn 0.6794 0.9658 0.2702 x1
Sn 0.6821 0.3157 0.9066 x1
Sn 0.6845 0.9783 0.5572 x1
Sn 0.6872 0.9841 0.0676 x1
Sn 0.6930 0.6556 0.4307 x1
S 0.0362 0.6246 0.1646 x1
S 0.3231 0.6245 0.6687 x1
S 0.3403 0.9703 0.0002 x1
S 0.3867 0.6513 0.3366 x1
S 0.3915 0.9789 0.6661 x1
S 0.4762 0.4817 0.1663 x1
S 0.4789 0.1504 0.8355 x1
S 0.5244 0.4706 0.5017 x1
S 0.5417 0.1223 0.1692 x1
S 0.8287 0.1218 0.6637 x1
S 0.8314 0.8346 0.6648 x1
S 0.8688 0.8141 0.0008 x1
S 0.8869 0.1430 0.3333 x1
S 0.9803 0.6445 0.8316 x1
S 0.9951 0.3144 0.5023 x1
O 0.0001 0.4771 0.7267 x1
O 0.0023 0.5033 0.3396 x1
-- stop --
Back to the article
欣赏百岁艺术家古巴的104 years old Cuban Carmen Herrera,因为她近90岁开始画画,结果很有天赋!
Carmen Herrera: is an American-Cuban Minimalist artist working in both sculpture and painting. Having achieved success late in life—she sold her first piece at the age of 89—she is today considered a major figure in geometric abstraction. “My quest is for the simplest of pictorial resolutions,” she has declared, and her work is characterized by its radically reductive use of forms, reminiscent of Ellsworth Kelly or Josef Albers. Among her most iconic series are the Blanco y Verde (1959–1971) paintings, striking white-and-green compositions that confront both the physicality of painting and its relationship to its surroundings. Born on May 31, 1915 Havana, Cuba in 1915 as one of seven children, Herrera moved frequently growing up. She went on to study architecture in her home country but moved to New York before completing her degree, instead taking classes at the famed Art Students League. Though highly prolific throughout her life, she remained largely unknown until The Museum of Modern Art acquired one of paintings in 2004. Other institutions have since added Herrera to their permanent collections, including the Whitney Museum of American Art in New York, the Tate in London, and the Hirshhorn Museum in Washington, D.C. She lives and works in New York, NY.
对于Morris Louis的画, 颜料画面,还以为搞错了,faces就是如此简单!
艺术家艰苦环境,必须画布折叠一点点画,因为空间小,容不下任何其他人!V small dining room folding画布in order to pain,nobody in, too small
下雨我们躲到咖啡厅,去吃冰淇淋,因为我也吃L很开心,都没有负罪感!Rain in a cafe and ice cream,less guilty as I am eating it also
终于知道vipa可以搭车啦,一直等回复!Got message finally on lift to vipa
去花了为T工作买的500美金卷买衣服,唯一一年一次,給girls买了sugafina糖果!花钱不是很容易,因为无所求!Spending balance 500 got two dress,two shoes and one pant and sugafina gift box;Spending is not easy!
在T家里ray来的时候还是一样不知道带个象征性的礼物,说他从来不临时决定做啥不一样的事,旅行都是计划好的。而C说T老婆总是临时冲动,所以消费高,需要多赚钱!Evening in Tatiana house: spontaneous,never,what that means? For Ray! But T All the time,spontaneous
我们吃的素食,问到我的romance,我说和自己恋爱比较安全,自恋狂没啥不好的!Vegetarian and garlic dipping,much safer romance with self!
Post photos and video of back bend up